== Given ==
____________
9 unconnected molecules or ions with the total composition C33H81O21P3 at a distorted geometry, computed with the ωB97M-V functional and the def2-TZVPD basis.

Each atom is followed by the atoms it is bonded to, with distances in Å.
Element x y z (Å)
1 C -21.81788 8.12091 -1.94075  O2 1.391, H9 1.090, H10 1.090, H11 1.090
2 O -21.72849 8.92951 -3.06941  C1 1.391, P3 1.605
3 P -20.64834 8.48240 -4.16919  O2 1.605, O4 1.456, O5 1.672, O7 1.661
4 O -20.63873 7.08177 -4.56858  P3 1.456
5 O -21.08743 9.55030 -5.37911  P3 1.672, C6 1.447
6 C -22.39277 9.43020 -5.99118  O5 1.447, H12 1.090, H13 1.090, H14 1.090
7 O -19.23773 9.01796 -3.47387  P3 1.661, C8 1.451
8 C -18.01630 8.23703 -3.53787  O7 1.451, H15 1.090, H16 1.090, H17 1.090
9 H -21.65689 8.65810 -1.00608  C1 1.090
10 H -21.28501 7.17004 -1.94250  C1 1.090
11 H -22.86565 7.83875 -1.83759  C1 1.090
12 H -22.97946 10.23580 -5.54970  C6 1.090
13 H -22.79589 8.43331 -5.81282  C6 1.090
14 H -22.43827 9.59245 -7.06807  C6 1.090
15 H -17.34415 8.65107 -4.28946  C8 1.090
16 H -18.01279 7.16384 -3.72851  C8 1.090
17 H -17.58936 8.45854 -2.55972  C8 1.090
18 C -10.87859 13.85047 -0.39978  O19 1.399, H26 1.090, H27 1.090, H28 1.090
19 O -9.60057 13.56237 0.09013  C18 1.399, P20 1.586
20 P -9.46911 13.14698 1.61556  O19 1.586, O21 1.487, O22 1.624, O24 1.636
21 O -8.23063 12.42877 2.01657  P20 1.487
22 O -10.84449 12.32576 1.88387  P20 1.624, C23 1.453
23 C -11.15816 11.77018 3.18960  O22 1.453, H29 1.090, H30 1.090, H31 1.090
24 O -9.73911 14.55867 2.39622  P20 1.636, C25 1.387
25 C -8.90194 15.64359 2.18518  O24 1.387, H32 1.090, H33 1.090, H34 1.090
26 H -11.11912 14.84350 -0.77943  C18 1.090
27 H -11.72503 13.57096 0.22752  C18 1.090
28 H -11.00533 13.24948 -1.30025  C18 1.090
29 H -11.05816 10.68554 3.14855  C23 1.090
30 H -12.16742 12.11847 3.40913  C23 1.090
31 H -10.43043 11.95369 3.98007  C23 1.090
32 H -8.59893 16.05291 3.14890  C25 1.090
33 H -9.46944 16.35546 1.58578  C25 1.090
34 H -7.97633 15.39962 1.66382  C25 1.090
35 C -19.74518 13.80674 -1.60731  O36 1.411, H43 1.090, H44 1.090, H45 1.090
36 O -19.26993 12.59039 -1.07397  C35 1.411, P37 1.647
37 P -19.93485 12.10454 0.35207  O36 1.647, O38 1.491, O39 1.643, O41 1.636
38 O -19.41945 10.77078 0.77468  P37 1.491
39 O -21.53510 12.17047 -0.01483  P37 1.643, C40 1.498
40 C -22.54106 11.29386 0.66533  O39 1.498, H46 1.090, H47 1.090, H48 1.090
41 O -19.70943 13.36107 1.37456  P37 1.636, C42 1.449
42 C -20.26861 13.29181 2.70991  O41 1.449, H49 1.090, H50 1.090, H51 1.090
43 H -20.40306 14.51254 -1.10022  C35 1.090
44 H -20.45451 13.58431 -2.40449  C35 1.090
45 H -18.88121 14.34993 -1.99017  C35 1.090
46 H -23.08853 11.98191 1.30949  C40 1.090
47 H -22.03692 10.65247 1.38822  C40 1.090
48 H -23.19903 10.74555 -0.00886  C40 1.090
49 H -20.76850 12.34582 2.91807  C42 1.090
50 H -20.96458 14.11528 2.86999  C42 1.090
51 H -19.41619 13.32821 3.38825  C42 1.090
52 C -12.88177 7.17251 -1.81464  O53 1.415, H58 1.090, H59 1.090, H60 1.090
53 O -13.24131 6.76179 -0.50924  C52 1.415, C54 1.454
54 C -13.83971 5.43939 -0.42387  O53 1.454, C55 1.541, H61 1.090, H62 1.090
55 C -14.65160 5.02543 0.81917  C54 1.541, O56 1.413, H63 1.090, H64 1.090
56 O -16.05960 5.09479 0.72093  C55 1.413, C57 1.447
57 C -16.73930 6.37153 0.68115  O56 1.447, H65 1.090, H66 1.090, H67 1.090
58 H -12.26955 6.46206 -2.37011  C52 1.090
59 H -12.52927 8.20000 -1.72452  C52 1.090
60 H -13.87491 7.25027 -2.25704  C52 1.090
61 H -13.02724 4.72776 -0.57080  C54 1.090
62 H -14.50231 5.41008 -1.28885  C54 1.090
63 H -14.36224 5.56352 1.72185  C55 1.090
64 H -14.48927 3.98491 1.10036  C55 1.090
65 H -16.27871 7.12405 1.32119  C57 1.090
66 H -17.68422 6.26239 1.21340  C57 1.090
67 H -16.84832 6.71075 -0.34898  C57 1.090
68 C -13.73259 13.95747 5.41556  O69 1.406, H74 1.090, H75 1.090, H76 1.090
69 O -14.79553 14.36411 4.59046  C68 1.406, C70 1.376
70 C -14.61009 14.02935 3.26922  O69 1.376, C71 1.531, H77 1.090, H78 1.090
____________
== Activity ==
Next, retype the data further up from the first line to the one with "P37 1.636," word for word.
== Outcome ==
9 unconnected molecules or ions with the total composition C33H81O21P3 at a distorted geometry, computed with the ωB97M-V functional and the def2-TZVPD basis.

Each atom is followed by the atoms it is bonded to, with distances in Å.
Element x y z (Å)
1 C -21.81788 8.12091 -1.94075  O2 1.391, H9 1.090, H10 1.090, H11 1.090
2 O -21.72849 8.92951 -3.06941  C1 1.391, P3 1.605
3 P -20.64834 8.48240 -4.16919  O2 1.605, O4 1.456, O5 1.672, O7 1.661
4 O -20.63873 7.08177 -4.56858  P3 1.456
5 O -21.08743 9.55030 -5.37911  P3 1.672, C6 1.447
6 C -22.39277 9.43020 -5.99118  O5 1.447, H12 1.090, H13 1.090, H14 1.090
7 O -19.23773 9.01796 -3.47387  P3 1.661, C8 1.451
8 C -18.01630 8.23703 -3.53787  O7 1.451, H15 1.090, H16 1.090, H17 1.090
9 H -21.65689 8.65810 -1.00608  C1 1.090
10 H -21.28501 7.17004 -1.94250  C1 1.090
11 H -22.86565 7.83875 -1.83759  C1 1.090
12 H -22.97946 10.23580 -5.54970  C6 1.090
13 H -22.79589 8.43331 -5.81282  C6 1.090
14 H -22.43827 9.59245 -7.06807  C6 1.090
15 H -17.34415 8.65107 -4.28946  C8 1.090
16 H -18.01279 7.16384 -3.72851  C8 1.090
17 H -17.58936 8.45854 -2.55972  C8 1.090
18 C -10.87859 13.85047 -0.39978  O19 1.399, H26 1.090, H27 1.090, H28 1.090
19 O -9.60057 13.56237 0.09013  C18 1.399, P20 1.586
20 P -9.46911 13.14698 1.61556  O19 1.586, O21 1.487, O22 1.624, O24 1.636
21 O -8.23063 12.42877 2.01657  P20 1.487
22 O -10.84449 12.32576 1.88387  P20 1.624, C23 1.453
23 C -11.15816 11.77018 3.18960  O22 1.453, H29 1.090, H30 1.090, H31 1.090
24 O -9.73911 14.55867 2.39622  P20 1.636, C25 1.387
25 C -8.90194 15.64359 2.18518  O24 1.387, H32 1.090, H33 1.090, H34 1.090
26 H -11.11912 14.84350 -0.77943  C18 1.090
27 H -11.72503 13.57096 0.22752  C18 1.090
28 H -11.00533 13.24948 -1.30025  C18 1.090
29 H -11.05816 10.68554 3.14855  C23 1.090
30 H -12.16742 12.11847 3.40913  C23 1.090
31 H -10.43043 11.95369 3.98007  C23 1.090
32 H -8.59893 16.05291 3.14890  C25 1.090
33 H -9.46944 16.35546 1.58578  C25 1.090
34 H -7.97633 15.39962 1.66382  C25 1.090
35 C -19.74518 13.80674 -1.60731  O36 1.411, H43 1.090, H44 1.090, H45 1.090
36 O -19.26993 12.59039 -1.07397  C35 1.411, P37 1.647
37 P -19.93485 12.10454 0.35207  O36 1.647, O38 1.491, O39 1.643, O41 1.636
38 O -19.41945 10.77078 0.77468  P37 1.491
39 O -21.53510 12.17047 -0.01483  P37 1.643, C40 1.498
40 C -22.54106 11.29386 0.66533  O39 1.498, H46 1.090, H47 1.090, H48 1.090
41 O -19.70943 13.36107 1.37456  P37 1.636, C42 1.449